Job:
Return only the lines underneath with the word "e_homo_ha" in them.

Entries:
-- begin --
71
Properties=species:S:1:pos:R:3 method="wB97M-V/def2-TZVPD" total_charge=0 e_above_lowest_kj_mol=99.6 spin_multiplicity=5 e_homo_ha="-0.17904 / -0.27801"
Cr 0.51 -0.14 -0.03
C 3.89 0.42 -0.21
N 2.80 -0.57 -0.01
C 2.89 -1.56 -1.11
C 2.32 -0.98 -2.38
N 1.01 -0.38 -2.14
C 0.13 -0.32 -3.21
C -0.85 0.67 -3.15
F -0.76 1.57 -2.16
C -1.89 0.81 -4.06
F -2.81 1.75 -3.87
C -1.94 -0.02 -5.17
F -2.91 0.09 -6.08
C -0.93 -0.96 -5.33
F -0.92 -1.75 -6.40
C 0.07 -1.13 -4.37
F 0.95 -2.14 -4.62
C 2.95 -1.18 1.33
C 2.21 -0.33 2.33
N 0.80 -0.36 1.94
C -0.11 -0.21 2.98
C 0.08 0.56 4.12
F 1.18 1.31 4.29
C -0.88 0.59 5.14
F -0.66 1.34 6.22
C -2.05 -0.15 5.03
F -2.95 -0.14 6.03
C -2.26 -0.91 3.90
F -3.36 -1.66 3.77
C -1.29 -0.94 2.91
F -1.49 -1.76 1.84
H 4.83 -0.13 -0.36
H 3.99 1.04 0.68
H 3.69 1.05 -1.07
H 2.32 -2.43 -0.79
H 3.93 -1.87 -1.25
H 2.32 -1.79 -3.11
H 3.03 -0.24 -2.79
H 4.01 -1.30 1.56
H 2.49 -2.17 1.30
H 2.65 0.67 2.35
H 2.37 -0.73 3.33
N -1.66 0.16 -0.05
C -1.94 1.52 0.42
C -3.23 1.94 0.72
C -3.44 3.28 1.03
C -2.38 4.17 1.02
C -1.07 3.74 0.76
C 0.03 4.62 0.73
C 1.29 4.07 0.46
C 1.46 2.74 0.26
N 0.40 1.84 0.25
C -0.86 2.35 0.48
H -2.22 -0.53 0.45
H -1.91 0.12 -1.04
H -4.06 1.25 0.68
H -4.44 3.63 1.25
H -2.55 5.22 1.24
H -0.11 5.68 0.89
H 2.17 4.70 0.42
H 2.43 2.33 0.07
C -1.72 -3.04 -1.29
C -0.42 -3.13 -0.55
C 0.11 -4.51 -0.28
O 0.21 -2.18 -0.20
H -1.79 -3.83 -2.03
H -1.83 -2.07 -1.77
H -2.53 -3.18 -0.57
-- stop --

Solution:
Properties=species:S:1:pos:R:3 method="wB97M-V/def2-TZVPD" total_charge=0 e_above_lowest_kj_mol=99.6 spin_multiplicity=5 e_homo_ha="-0.17904 / -0.27801"